I've spent the last few weeks exploring White Bronze Metal Clay. The clay comes in powder form and can be mixed easily. The mixed clay is silky and flexible. It was easy to work with and was quick to sand. I was excited to see how the pieces came out once fired, but that's where my trouble began. So far I have fired three different test pieces, each ending with different problems. Below is a page from one of my firing notebooks, and at the bottom are the results. Test Fire #1 was based on the directions from the clay, in the end the center appeared sintered, but the edges were fragile enough to snap off. Base metal clays must be fired buried in carbon, this is done inside a vessel in the kiln. For test firing #2 I altered my firing parameters based on suggestions from my vessel's manufacturer. This time, the piece was far weaker and crumbled like a cookie when wiggled. For my third test fire, I reached out to other metal clay artists working in bronze and adjusted my firing schedule accordingly. This resulted in the piece splitting and then crumbling.
I was reassured by other metal clay artists that initial explorations in bronze required several test fires since everything from the kiln type to carbon type to vessel type to bronze type effects firing, but was still a bit disheartened. I contacted the manufacturer of the white bronze and they immediately responded. You can see in my firing notes below their direct feedback on my trials. The key points include the following:
-The water drop test used in other bronze clays to check for sintering, is not a valid test for White Bronze.
-Both phases of firing must be done in a kiln, buried in carbon - this includes the first phase where the binder is burned off.
=====
1.
# InGeRh3, relaxed, DFT PBE-GGA
# Crystal system: orthorhombic
# Offset from the most stable computed form, eV/atom: 0.000
# E, eV/f.u.: -30.8
# Total magnetic moment, μB per formula unit: 0.0
# Density, g/cm³: 9.77
data_InGeRh3
_chemical_formula_sum 'In8 Ge8 Rh24'
_cell_length_a 10.201
_cell_length_b 8.521
_cell_length_c 7.761
_cell_angle_alpha 90.00
_cell_angle_beta 90.00
_cell_angle_gamma 90.00
_symmetry_space_group_name_H-M 'C m c m'
_symmetry_Int_Tables_number 63
_symmetry_space_group_name_Hall '-C 2c 2'
loop_
_atom_site_label
_atom_site_type_symbol
_atom_site_fract_x
_atom_site_fract_y
_atom_site_fract_z
_atom_site_occupancy
In1 In 0.000 0.021 0.250 1
In2 In 0.000 0.352 0.750 1
Ge1 Ge 0.196 0.328 0.250 1
Rh1 Rh 0.135 0.168 0.509 1
Rh2 Rh 0.137 0.500 0.000 1


2.
# InGeRh2, relaxed, DFT PBE-GGA
# Crystal system: tetragonal
# E, eV/f.u.: -22.7
# Total magnetic moment, μB per formula unit: 0.0
# Density, g/cm³: 9.24
data_InGeRh2
_chemical_formula_sum 'In4 Ge4 Rh8'
_cell_length_a 6.961
_cell_length_b 6.961
_cell_length_c 5.833
_cell_angle_alpha 90.00
_cell_angle_beta 90.00
_cell_angle_gamma 90.00
_symmetry_space_group_name_H-M 'I -4 2 d'
_symmetry_Int_Tables_number 122
_symmetry_space_group_name_Hall 'I -4 2bw'
loop_
_atom_site_label
_atom_site_type_symbol
_atom_site_fract_x
_atom_site_fract_y
_atom_site_fract_z
_atom_site_occupancy
In1 In 0.000 0.000 0.000 1
Ge1 Ge 0.000 0.000 0.500 1
Rh1 Rh 0.204 0.750 0.625 1


3.
# InGeRh, relaxed, DFT PBE-GGA
# Crystal system: cubic
# E, eV/f.u.: -15.5
# Total magnetic moment, μB per formula unit: 0.0
# Density, g/cm³: 8.11
data_InGeRh
_chemical_formula_sum 'In4 Ge4 Rh4'
_cell_length_a 6.197
_cell_length_b 6.197
_cell_length_c 6.197
_cell_angle_alpha 90.00
_cell_angle_beta 90.00
_cell_angle_gamma 90.00
_symmetry_space_group_name_H-M 'F -4 3 m'
_symmetry_Int_Tables_number 216
_symmetry_space_group_name_Hall 'F -4 2 3'
loop_
_atom_site_label
_atom_site_type_symbol
_atom_site_fract_x
_atom_site_fract_y
_atom_site_fract_z
_atom_site_occupancy
In1 In 0.000 0.000 0.000 1
Ge1 Ge 0.000 0.000 0.500 1
Rh1 Rh 0.250 0.250 0.250 1


4.
# InGeRh, relaxed, DFT PBE-GGA
# Crystal system: orthorhombic
# E, eV/f.u.: -15.3
# Total magnetic moment, μB per formula unit: 0.0
# Density, g/cm³: 8.22
data_InGeRh
_chemical_formula_sum 'In4 Ge4 Rh4'
_cell_length_a 3.683
_cell_length_b 16.227
_cell_length_c 3.926
_cell_angle_alpha 90.00
_cell_angle_beta 90.00
_cell_angle_gamma 90.00
_symmetry_space_group_name_H-M 'C m c m'
_symmetry_Int_Tables_number 63
_symmetry_space_group_name_Hall '-C 2c 2'
loop_
_atom_site_label
_atom_site_type_symbol
_atom_site_fract_x
_atom_site_fract_y
_atom_site_fract_z
_atom_site_occupancy
In1 In 0.000 0.072 0.250 1
Ge1 Ge 0.000 0.253 0.750 1
Rh1 Rh 0.000 0.349 0.250 1


5.
# InGe2Rh2, relaxed, DFT PBE-GGA
# Crystal system: tetragonal
# E, eV/f.u.: -28.0
# Total magnetic moment, μB per formula unit: 0.0
# Density, g/cm³: 9.24
data_InGe2Rh2
_chemical_formula_sum 'In2 Ge4 Rh4'
_cell_length_a 7.560
=====
-Even the small kiln I use for firing can have a 300 degree difference from the floor to the lid, so the vessel must be up on stilts to best achieve high temperatures.
-The lid should be off the vessel for both phases of the firing.
-When both phases of firing are done in the kiln, there is no need to cool in between.
-The following firing was recommended:
Vessel on Stilts/No Lid for entire firing
=====
FeWSe: relaxed, PBE.

```
FeWSe
1.0
-6.5742 1.1270 -0.6960
-6.2943 -1.3473 0.7127
-0.6707 2.1529 1.7609
Se Fe W
1 1 1
Cartesian
-4.7472 1.3598 1.1780 Se
-0.7723 2.1331 1.7464 Fe
-8.6904 0.5926 0.6142 W
```

Results
Symmetry = Fmm2
E above lowest polymorph = 0.2367 eV per atom
M_tot = 2.37 μB/cell
Energy relative to the elements, uncorrected = 0.56 eV per atom

=====

(1)
Computed, not measured: a relaxed Ba6N2OF3 crystal at the PBE-GGA level of DFT.

As for the formation energy from raw total energies: -2011 meV/atom.

It has space group C2/m (No. 12), with a = 6.9277 Å, b = 12.0113 Å, c = 7.0830 Å, α = 90.00°, β = 109.06° and γ = 90.00°. The inequivalent atoms are Ba at (0.2400, 0.0000, 0.2283), Ba at (0.2435, 0.3324, 0.2279), N at (0.0000, 0.1658, 0.0000), O at (0.0000, 0.5000, 0.0000), F at (0.0000, 0.0000, 0.5000) and F at (0.0000, 0.3267, 0.5000).

---

(2)
Computed, not measured: a relaxed BaNO2F crystal at the PBE-GGA level of DFT.

As for the formation energy from raw total energies: -558 meV/atom.

It has space group P4/mmm (No. 123), with a = 3.7095 Å, b = 3.7095 Å, c = 4.6619 Å, α = 90.00°, β = 90.00° and γ = 90.00°. The inequivalent atoms are Ba at (0.0000, 0.0000, 0.0000), N at (0.5000, 0.5000, 0.5000), O at (0.0000, 0.5000, 0.5000) and F at (0.5000, 0.5000, 0.0000).

---

(3)
Computed, not measured: a relaxed BaOsN2F crystal at the PBE-GGA level of DFT.

The value obtained for the energy above the lowest structure with this stoichiometry is 2.782 eV/atom. As for the formation energy from raw total energies: 2008 meV/atom.

It has space group P4/mmm (No. 123), with a = 4.7154 Å, b = 4.7154 Å, c = 4.7455 Å, α = 90.00°, β = 90.00° and γ = 90.00°. The inequivalent atoms are Ba at (0.0000, 0.0000, 0.0000), Os at (0.5000, 0.5000, 0.5000), N at (0.0000, 0.5000, 0.0000) and F at (0.0000, 0.0000, 0.5000).

---

(4)
Computed, not measured: a relaxed BaOsNF2 crystal at the PBE-GGA level of DFT.

The value obtained for the energy above the lowest structure with this stoichiometry is 0.000 eV/atom. As for the formation energy from raw total energies: -1249 meV/atom.
=====
The piece goes on:
Piece buried for entire firing
Misplaced records of crystals >
- - -
Entry from Alexandria via LeMat-Bulk: a relaxed structure of BaCuTe2 (GGA-PBEsol).

Geometry as POSCAR:
```
BaCuTe2
1.0
1.9358 1.1176 9.6411
-1.9358 1.1176 9.6411
0.0000 -2.2352 9.6411
Ba Cu Te
1 1 2
Direct
0.0000 0.0000 0.0000
0.5000 0.5000 0.5000
0.1159 0.1159 0.1159
0.8841 0.8841 0.8841
```

Properties
- VASP energy: -3.468 eV/atom
- Raw formation energy: -0.338 eV per formula unit

~~~~~

*i*
The following is a PBE-GGA calculation of Ho3AlNi3 after structural relaxation, from Alexandria.

POSCAR file:
```
Ho3AlNi3
1.0
4.080 0.000 0.000
-2.040 4.964 0.000
0.000 0.000 13.121
Al Ho Ni
2 6 6
Cartesian
2.040 0.000 0.000
2.040 0.000 6.561
0.000 4.904 9.841
2.040 2.865 1.371
2.040 0.059 3.280
0.000 2.099 11.750
2.040 2.865 5.189
0.000 2.099 7.932
2.040 4.196 11.951
0.000 2.090 3.280
0.000 0.768 5.390
2.040 4.196 7.731
0.000 0.768 1.170
2.040 2.874 9.841
```

=====

*ii*
The following is a PBE-GGA calculation of Ho3AlNi3 after structural relaxation, from Alexandria.

POSCAR file:
```
Ho3AlNi3
1.0
-2.243 -4.823 -0.425
5.403 -2.988 5.397
-7.132 3.086 2.619
Ni Ho Al
6 6 2
Cartesian
1.189 -2.212 2.083
-5.160 -2.512 5.508
-2.590 -3.444 2.512
-1.381 -1.280 5.079
2.185 -3.014 5.932
-6.156 -1.710 1.659
-2.598 -3.685 5.290
-3.756 -0.258 6.009
1.442 -5.590 5.586
-1.373 -1.040 2.301
-5.413 0.865 2.005
-0.215 -4.466 1.582
0.664 -2.169 4.365
-4.636 -2.555 3.226
```

=====

How do the energies compare? Relative to the most stable structure, in eV/atom: *i* 0.000; *ii* 0.319.

=====

*i*
The following is a PBE-GGA calculation of Ho2AlNi after structural relaxation, from Alexandria.

POSCAR file:
```
Ho2AlNi
1.0
-0.389 1.186 -3.158
-1.233 -3.009 -0.978
-6.771 2.232 1.671
Ho Ni Al
2 1 1
Cartesian
-1.520 0.501 0.375
-5.251 1.731 1.296
-0.811 -0.912 -2.068
-4.197 0.204 -1.233
```

=====

*ii*
The following is a PBE-GGA calculation of Ho2AlNi after structural relaxation, from Alexandria.

POSCAR file:
```
Ho2AlNi
1.0
-2.651 -1.565 1.194
-1.130 -2.715 -1.502
4.527 -6.943 5.514
Ni Al Ho
1 1 2
Cartesian
0.000 0.000 0.000
0.373 -5.612 2.603
3.043 -5.529 4.074
-2.297 -5.695 1.132
```

=====

*iii*
The following is a PBE-GGA calculation of Ho2AlNi after structural relaxation, from Alexandria.

POSCAR file:
```
Ho2AlNi
1.0
-1.030 -3.262 3.573
-0.949 -4.715 -1.154
3.269 -3.532 1.142
Al Ho Ni
1 2 1
Cartesian
0.000 0.000 0.000
0.967 -8.631 2.670
0.322 -2.877 0.890
0.645 -5.754 1.780
```

=====

How do the energies compare? Relative to the most stable structure, in eV/atom: *i* 0.000; *ii* 0.674; *iii* 0.074.

~~~~~

No. 1
## Pm12Y2Ho5 (PBE)

Data for an optimized crystal structure of Pm12Y2Ho5.

a = 9.399 Å, b = 9.421 Å, c = 8.384 Å
α = 89.76°, β = 90.00°, γ = 119.92°
Atoms (fractional coordinates):
Pm 0.829 0.216 0.621
Pm 0.605 0.633 0.780
Pm 0.163 0.327 0.870
Pm 0.387 0.216 0.621
Pm 0.613 0.784 0.379
Pm 0.837 0.673 0.130
Pm 0.028 0.633 0.780
Pm 0.171 0.784 0.379
Pm 0.972 0.367 0.220
Pm 0.395 0.367 0.220
Pm 0.450 0.899 0.710
Pm 0.550 0.101 0.290
Ho 0.749 0.499 0.466
- - -
End of the records of crystals >
Phase 1: Full Ramp to 1000F hold 2hrs
No Cool
Phase 2: Full Ramp to 1250F hold 2hrs
Test cooled pieces with 220grit sandpaper, if it is metallic it's good.
*** On a side note, the instruction manual for White Bronze is part of the manual for the entire collection of base metal clays and therefore a little confusing as they are all talked about together. In the manual, it does say it is a brittle metal when made into thin pieces and recommends it being used in combination with other clays for strength. The email response I receive basically asked why I would be using it alone to begin with and that it NEEDS to be used in combination with other metals. That it should not be used alone and even if you do get it to fire correctly, customers need to understand that their piece will be VERY fragile. This really is different than how it is presented in the manual. I went back and checked on the manufacturer's website and no where does it note that White Bronze is any different than the other base metal clays, you only learn that once you download the manual which I imagine most people do not do until they order it. This is something which I find a bit frustrating, it should be more clearly noted as part of the product description. I really didn't see the red flags until the manufacturer questioned my use of it because the manual is not that direct. My persistence in firing it correctly is partially to see the process through and partially to complete the handful of pieces I have in White Bronze that are waiting to be fired.
So my next step? More test pieces next week based on the above suggestions. Wish me luck!